• Request:
Start at the top of the data further down and restate each line, ending with the one that has "3.180 0.186".

• Source:
~~~
No. 1
This record from OMol25 describes C5H14N2S as an isolated structure at a distorted geometry. The level of theory is ωB97M-V/def2-TZVPD.

The geometry in XYZ format:
```
22
Properties=species:S:1:pos:R:3:mulliken_charge:R:1
C -0.074 1.041 -0.086 -0.503
N 1.064 0.085 -0.258 -0.251
C 2.030 0.035 0.831 0.145
C 2.669 -1.244 1.370 -1.060
S 4.322 0.795 -1.064 -0.189
C -1.333 0.421 -0.670 -0.621
N -2.861 0.053 0.245 -0.466
C -3.813 -0.408 -0.808 -0.715
H -0.155 1.094 1.016 0.324
H 0.273 2.060 -0.311 0.445
H 1.668 0.333 -1.040 0.317
H 1.722 0.638 1.669 0.283
H 2.942 0.581 0.364 -0.353
H 1.991 -2.070 1.627 0.340
H 3.249 -1.691 0.554 0.263
H 3.399 -0.930 2.125 0.352
H -1.427 0.559 -1.745 0.299
H -1.182 -0.662 -0.627 0.344
H -2.343 1.001 -0.133 0.207
H -4.779 -0.360 -0.288 0.268
H -3.782 0.120 -1.762 0.253
H -3.581 -1.455 -1.009 0.317
```

Calculated values
Electronic energy (Eh): -706.28126
HOMO level (Ha): -0.3184
Gap between HOMO and LUMO (eV): 5.62
Multiplicity: 1

No. 2
This record from OMol25 describes CH10N3O2Zr as an isolated structure at a distorted geometry. The level of theory is ωB97M-V/def2-TZVPD.

The geometry in XYZ format:
```
17
Properties=species:S:1:pos:R:3:mulliken_charge:R:1
C 1.799 1.153 0.405 -0.895
Zr -0.866 0.494 -0.031 1.253
N -1.518 -1.798 0.015 -0.803
N -0.387 0.448 -2.368 -0.780
H -2.450 -2.024 0.366 0.295
H 1.730 0.089 0.671 0.298
H 2.298 1.626 1.284 0.334
H 0.822 1.784 0.330 0.199
H 2.332 1.208 -0.567 0.363
H -1.149 0.535 -3.050 0.283
H 0.024 -0.486 -2.530 0.335
H 0.334 1.125 -2.617 0.330
H -1.425 -2.243 -0.899 0.302
H -0.866 -2.274 0.648 0.348
O -1.574 1.774 3.232 -0.203
N -0.817 1.082 2.646 0.008
O -2.188 1.639 0.220 -0.667
```

Calculated values
Electronic energy (Eh): -405.55708
HOMO level (alpha / beta) (Ha): -0.3486 / -0.3486
Net charge: +1
Gap between HOMO and LUMO (alpha / beta) (eV): 5.36 / 5.36
Multiplicity: 1

No. 3
This record from OMol25 describes a 8-piece molecular cluster, C24H64O24S8 overall at a distorted geometry. The level of theory is ωB97M-V/def2-TZVPD.

The geometry in XYZ format:
```
120
Properties=species:S:1:pos:R:3:mulliken_charge:R:1
C 3.308 0.838 -0.822 -1.178
C 2.002 0.124 -0.469 1.770
O 0.891 0.993 -0.732 -0.297
S -0.499 0.473 -1.255 0.747
C -0.265 0.378 -2.986 -0.987
O -0.784 -0.854 -0.813 -0.415
O -1.416 1.512 -0.955 -0.250
H 3.790 0.500 -1.735 0.409
H 3.989 0.898 0.022 -0.139
H 3.087 1.901 -0.990 0.365
H 1.975 -0.806 -1.034 -0.586
H 2.067 -0.203 0.571 -0.337
H 0.717 -0.020 -3.222 0.348
H -0.372 1.356 -3.446 0.362
H -1.080 -0.245 -3.350 0.290
C 0.806 -7.142 -1.879 -1.208
C 1.055 -5.937 -0.996 -0.401
O 0.587 -4.722 -1.634 -0.169
S 1.635 -3.615 -2.020 1.281
C 2.769 -4.466 -3.080 -1.186
O 0.867 -2.702 -2.784 -0.636
O 2.348 -3.256 -0.826 -0.524
H 1.106 -8.064 -1.388 0.387
H 1.293 -7.026 -2.848 0.242
H -0.265 -7.217 -2.082 0.309
H 0.459 -6.016 -0.086 0.307
H 2.090 -5.860 -0.659 0.411
H 2.246 -5.089 -3.792 0.340
H 3.378 -5.032 -2.370 0.387
H 3.475 -3.732 -3.461 0.387
C -7.225 0.719 -0.708 -0.601
C -7.172 2.057 -0.009 -0.465
O -6.146 2.841 -0.625 -0.301
S -5.126 3.583 0.321 1.056
C -4.049 2.221 0.736 -0.866
O -4.397 4.488 -0.491 -0.499
O -5.812 4.041 1.491 -0.639
H -6.261 0.212 -0.650 -0.086
H -7.560 0.828 -1.737 0.226
H -7.916 0.027 -0.218 0.435
H -8.167 2.504 0.013 0.333
H -6.909 1.921 1.044 0.352
H -4.555 1.608 1.482 0.361
H -3.175 2.673 1.189 0.424
H -3.952 1.690 -0.204 0.198
C -0.087 -2.248 2.358 -0.438
C 0.463 -3.668 2.573 -0.401
O 1.061 -3.819 3.874 -0.452
S 2.505 -4.469 3.911 1.298
C 3.446 -3.221 3.123 -0.498
O 2.848 -4.504 5.270 -0.650
O 2.487 -5.664 3.122 -0.637
H 0.246 -1.611 3.180 0.186
H -1.172 -2.277 2.381 0.498
H 0.358 -1.854 1.452 -0.125
H -0.397 -4.344 2.539 0.399
H 1.095 -3.977 1.744 0.090
H 3.149 -3.106 2.084 0.066
H 4.462 -3.602 2.991 0.439
H 3.414 -2.322 3.724 0.138
C 3.356 1.191 3.887 -0.805
C 2.077 0.842 4.639 -0.735
O 1.003 0.815 3.666 -0.086
S -0.417 1.295 4.244 1.282
C -1.276 1.227 2.707 -0.596
O -0.862 0.291 5.141 -0.657
O -0.240 2.640 4.679 -0.640
~~~

• Outcome:
No. 1
This record from OMol25 describes C5H14N2S as an isolated structure at a distorted geometry. The level of theory is ωB97M-V/def2-TZVPD.

The geometry in XYZ format:
```
22
Properties=species:S:1:pos:R:3:mulliken_charge:R:1
C -0.074 1.041 -0.086 -0.503
N 1.064 0.085 -0.258 -0.251
C 2.030 0.035 0.831 0.145
C 2.669 -1.244 1.370 -1.060
S 4.322 0.795 -1.064 -0.189
C -1.333 0.421 -0.670 -0.621
N -2.861 0.053 0.245 -0.466
C -3.813 -0.408 -0.808 -0.715
H -0.155 1.094 1.016 0.324
H 0.273 2.060 -0.311 0.445
H 1.668 0.333 -1.040 0.317
H 1.722 0.638 1.669 0.283
H 2.942 0.581 0.364 -0.353
H 1.991 -2.070 1.627 0.340
H 3.249 -1.691 0.554 0.263
H 3.399 -0.930 2.125 0.352
H -1.427 0.559 -1.745 0.299
H -1.182 -0.662 -0.627 0.344
H -2.343 1.001 -0.133 0.207
H -4.779 -0.360 -0.288 0.268
H -3.782 0.120 -1.762 0.253
H -3.581 -1.455 -1.009 0.317
```

Calculated values
Electronic energy (Eh): -706.28126
HOMO level (Ha): -0.3184
Gap between HOMO and LUMO (eV): 5.62
Multiplicity: 1

No. 2
This record from OMol25 describes CH10N3O2Zr as an isolated structure at a distorted geometry. The level of theory is ωB97M-V/def2-TZVPD.

The geometry in XYZ format:
```
17
Properties=species:S:1:pos:R:3:mulliken_charge:R:1
C 1.799 1.153 0.405 -0.895
Zr -0.866 0.494 -0.031 1.253
N -1.518 -1.798 0.015 -0.803
N -0.387 0.448 -2.368 -0.780
H -2.450 -2.024 0.366 0.295
H 1.730 0.089 0.671 0.298
H 2.298 1.626 1.284 0.334
H 0.822 1.784 0.330 0.199
H 2.332 1.208 -0.567 0.363
H -1.149 0.535 -3.050 0.283
H 0.024 -0.486 -2.530 0.335
H 0.334 1.125 -2.617 0.330
H -1.425 -2.243 -0.899 0.302
H -0.866 -2.274 0.648 0.348
O -1.574 1.774 3.232 -0.203
N -0.817 1.082 2.646 0.008
O -2.188 1.639 0.220 -0.667
```

Calculated values
Electronic energy (Eh): -405.55708
HOMO level (alpha / beta) (Ha): -0.3486 / -0.3486
Net charge: +1
Gap between HOMO and LUMO (alpha / beta) (eV): 5.36 / 5.36
Multiplicity: 1

No. 3
This record from OMol25 describes a 8-piece molecular cluster, C24H64O24S8 overall at a distorted geometry. The level of theory is ωB97M-V/def2-TZVPD.

The geometry in XYZ format:
```
120
Properties=species:S:1:pos:R:3:mulliken_charge:R:1
C 3.308 0.838 -0.822 -1.178
C 2.002 0.124 -0.469 1.770
O 0.891 0.993 -0.732 -0.297
S -0.499 0.473 -1.255 0.747
C -0.265 0.378 -2.986 -0.987
O -0.784 -0.854 -0.813 -0.415
O -1.416 1.512 -0.955 -0.250
H 3.790 0.500 -1.735 0.409
H 3.989 0.898 0.022 -0.139
H 3.087 1.901 -0.990 0.365
H 1.975 -0.806 -1.034 -0.586
H 2.067 -0.203 0.571 -0.337
H 0.717 -0.020 -3.222 0.348
H -0.372 1.356 -3.446 0.362
H -1.080 -0.245 -3.350 0.290
C 0.806 -7.142 -1.879 -1.208
C 1.055 -5.937 -0.996 -0.401
O 0.587 -4.722 -1.634 -0.169
S 1.635 -3.615 -2.020 1.281
C 2.769 -4.466 -3.080 -1.186
O 0.867 -2.702 -2.784 -0.636
O 2.348 -3.256 -0.826 -0.524
H 1.106 -8.064 -1.388 0.387
H 1.293 -7.026 -2.848 0.242
H -0.265 -7.217 -2.082 0.309
H 0.459 -6.016 -0.086 0.307
H 2.090 -5.860 -0.659 0.411
H 2.246 -5.089 -3.792 0.340
H 3.378 -5.032 -2.370 0.387
H 3.475 -3.732 -3.461 0.387
C -7.225 0.719 -0.708 -0.601
C -7.172 2.057 -0.009 -0.465
O -6.146 2.841 -0.625 -0.301
S -5.126 3.583 0.321 1.056
C -4.049 2.221 0.736 -0.866
O -4.397 4.488 -0.491 -0.499
O -5.812 4.041 1.491 -0.639
H -6.261 0.212 -0.650 -0.086
H -7.560 0.828 -1.737 0.226
H -7.916 0.027 -0.218 0.435
H -8.167 2.504 0.013 0.333
H -6.909 1.921 1.044 0.352
H -4.555 1.608 1.482 0.361
H -3.175 2.673 1.189 0.424
H -3.952 1.690 -0.204 0.198
C -0.087 -2.248 2.358 -0.438
C 0.463 -3.668 2.573 -0.401
O 1.061 -3.819 3.874 -0.452
S 2.505 -4.469 3.911 1.298
C 3.446 -3.221 3.123 -0.498
O 2.848 -4.504 5.270 -0.650
O 2.487 -5.664 3.122 -0.637
H 0.246 -1.611 3.180 0.186